<<<
First-principles (r²SCAN) data for an optimized crystal structure of H8PdC2NCl3, as listed in Materials Project.

The calculated formation energy is -6.17 eV per formula unit. The electronic total energy is -208.5 eV per cell.

Cell lengths 7.637, 7.637, 7.208 Å; angles 90.38, 90.38, 118.62 degrees
Fractional positions:
H  0.003  0.282  0.499
H  0.010  0.170  0.190
H  0.060  0.585  0.669
H  0.170  0.010  0.690
H  0.220  0.748  0.961
H  0.252  0.780  0.539
H  0.282  0.003  0.999
H  0.415  0.940  0.831
H  0.585  0.060  0.169
H  0.718  0.997  0.001
H  0.748  0.220  0.461
H  0.780  0.252  0.039
H  0.830  0.990  0.310
H  0.940  0.415  0.331
H  0.990  0.830  0.810
H  0.997  0.718  0.501
Pd  0.500  0.500  0.000
Pd  0.500  0.500  0.500
C  0.107  0.728  0.603
C  0.272  0.893  0.897
C  0.728  0.107  0.103
C  0.893  0.272  0.397
N  0.126  0.874  0.750
N  0.874  0.126  0.250
Cl  0.173  0.315  0.896
Cl  0.315  0.173  0.396
Cl  0.390  0.610  0.250
Cl  0.610  0.390  0.750
Cl  0.685  0.827  0.604
Cl  0.827  0.685  0.104
>>>

The reader should filter the listing further up: keep the lines with the word "structure".

First-principles (r²SCAN) data for an optimized crystal structure of H8PdC2NCl3, as listed in Materials Project.